One Couple Explains How Viewing Porn Together Affected Their Relationship
Almost everywhere you turn, couples are encouraged to introduce pornography to their relationship as a way to spice things up in the bedroom. Surveys will illustrate that in doing so, couples are significantly happier. What these headlines and surveys are not telling you is:
“The long-term effect of watching pornography with your spouse can be devastating.”
Samuel Perry, a sociologist at the University of Oklahoma, and his colleague Cyrus Schleifer surveyed the same 2,000 American adults on three separate occasions between 2006 and 2014 regarding their relationships and their use of sexually-explicit material. According to Samuel Perry, “We found that married Americans who began pornography were roughly twice as likely to be divorced.”
Nobody thinks a spark is harmful until the flame has been fanned resulting in a fiery inferno burning out of control.
Between two parts of the article: crystal structures
No. 1
This entry pairs a crystal structure of Ca2TlAg3 with its simulated PXRD pattern. Radiation: CuKα. Structure: a crystal structure in Alexandria, relaxed with GGA-PBE.
Intensities are scaled so that the largest is 100.

Most intense lines, 10 to 90 degrees two-theta, by angle:
2θ/deg  Rel. int.
21.52  77.6
22.08  53.5
31.81  100.0
32.67  50.7
40.49  35.8
42.55  55.6
42.67  26.8
43.89  25.3

Cell and atoms:
```
12
Lattice="4.1260 0.0000 0.0000 0.0000 4.2376 0.0000 0.0000 0.0000 18.3323" Properties=species:S:1:pos:R:3 pbc="T T T"
Ca 0.0000 0.0000 0.0000
Ca 0.0000 2.1188 4.1006
Ca 2.0630 0.0000 13.2668
Ca 2.0630 2.1188 9.1662
Tl 0.0000 0.0000 7.4076
Tl 2.0630 2.1188 16.5738
Ag 0.0000 0.0000 10.2885
Ag 0.0000 2.1188 11.9834
Ag 0.0000 2.1188 14.6967
Ag 2.0630 0.0000 2.8172
Ag 2.0630 0.0000 5.5306
Ag 2.0630 2.1188 1.1223
```

***

No. 2
This entry pairs a crystal structure of Li5CrS4 with its simulated PXRD pattern. Radiation: CuKα. Structure: a crystal structure in Alexandria, relaxed with GGA-PBE.
Intensities are scaled so that the largest is 100.

Most intense lines, 10 to 90 degrees two-theta, by angle:
2θ/deg  Rel. int.
13.51  38.4
14.78  100.0
27.21  36.5
27.35  45.2
36.61  79.5
36.79  23.9
41.33  16.7
50.45  50.6

Cell and atoms:
```
10
Lattice="-1.8626 3.3699 6.5536 1.8626 -3.3699 6.5536 1.8626 3.3699 -6.5536" Properties=species:S:1:pos:R:3 pbc="T T T"
Li 0.0000 0.0000 0.0000
Li 1.8626 1.9064 -2.3285
Li 1.8626 1.9064 2.3285
Li 0.0000 1.4635 4.2251
Li 0.0000 1.4635 8.8822
Cr 0.0000 3.3699 0.0000
S 1.8626 1.7323 0.0000
S 1.8626 0.0000 3.9698
S 0.0000 3.3699 2.5838
S 0.0000 1.6376 6.5536
```

* * * * *

The following is a calculated powder diffraction line list of VP4O12. It was derived from the GGA+U geometry in Alexandria, using λ = 1.5418 Å (Cu Kα).
No peak broadening, texture or thermal motion is included.

Structure:
Lattice parameters (Å, degrees): 10.5719 10.5719 5.2461 99.29 99.29 73.31
Fractional positions:
1 V 0.0000 0.5000 0.0000
2 V 0.5000 0.0000 0.0000
3 P 0.1422 0.7007 0.8253
4 P 0.1911 0.4306 0.5372
5 P 0.2993 0.8578 0.1747
6 P 0.4306 0.1911 0.5372
7 P 0.5694 0.8089 0.4628
8 P 0.7007 0.1422 0.8253
9 P 0.8089 0.5694 0.4628
10 P 0.8578 0.2993 0.1747
11 O 0.0586 0.8101 0.6874
12 O 0.0787 0.6373 0.0034
13 O 0.0954 0.4063 0.6975
14 O 0.1562 0.4121 0.2457
15 O 0.1899 0.9414 0.3126
16 O 0.2180 0.5718 0.6325
17 O 0.2759 0.7241 0.0000
18 O 0.3367 0.3367 0.6081
19 O 0.3627 0.9213 0.9966
20 O 0.4063 0.0954 0.6975
21 O 0.4121 0.1562 0.2457
22 O 0.4282 0.7820 0.3675
23 O 0.5718 0.2180 0.6325
24 O 0.5879 0.8438 0.7543
25 O 0.5937 0.9046 0.3025
26 O 0.6373 0.0787 0.0034
27 O 0.6633 0.6633 0.3919
28 O 0.7241 0.2759 0.0000
29 O 0.7820 0.4282 0.3675
30 O 0.8101 0.0586 0.6874
31 O 0.8438 0.5879 0.7543
32 O 0.9046 0.5937 0.3025
33 O 0.9213 0.3627 0.9966
34 O 0.9414 0.1899 0.3126

Most intense lines, 10 to 80 degrees two-theta, in order of rising 2θ:
10.6°, intensity 54
14.0°, intensity 100
17.5°, intensity 27
18.4°, intensity 29
An Unexpected Disaster
In 2015, I had the opportunity to volunteer with an agency who provides disaster relief assistance. I will never forget walking into a home that was completely destroyed by floods that ripped through an area of South Carolina. The family told the story of going through the day as if everything was okay, believing the media when they said that there was no imminent threat since the river was miles away. While cooking a meal, the flood waters came. They had no choice but to leave – immediately.
I spent the day with this family, as they realized that nothing in their home escaped the water. Everything was destroyed, mold was growing, and the home was completely wrecked. By the time evening came, we had removed everything from the home–including the floors, walls, and ceilings.
The same is true for pornography. We are led to believe that all will be okay – that it will even improve the relationship, but the final outcome is certain destruction.
“And no wonder, for Satan himself masquerades as an angel of light.”
Many people believe the lie that viewing pornography will bring you closer together. To be quite honest, my husband and I bought into it too. Here’s what we didn’t realize until much later.
We Were Fooling Ourselves
Inviting pornography into our bedroom was a form of codependency. Both of us had been used to viewing pornography as a means to medicate the pain, emptiness, and loneliness in our lives. Watching it together meant that he no longer had to feel guilty for his actions, as it further endorsed the thought that I was okay with it. Feeling emotionally neglected, I believed that if I watched it with him our relationship both in and outside of the bedroom would improve. By being a willing participant, we were both sinning against God. We were both committing spiritual suicide. Though we couldn’t see it at the time, we now recognize the lifelessness that was behind our eyes and in our hearts.
~~~
This entry pairs a crystal structure of Na2Ta3Se6 with its theoretical X-ray diffraction stick pattern. Radiation: CuKα. Structure: a PBE-relaxed structure.
Intensities are scaled so that the largest is 100.

Principal peaks in the range 10° ≤ 2θ ≤ 90°, low angle first:
Position (°2θ), I/Imax
11.70, 100.0
32.34, 47.8
33.77, 26.0
39.58, 13.4
43.45, 18.9
51.20, 14.4

Structure:
```
data_Na2Ta3Se6
_chemical_formula_sum 'Na4 Ta6 Se12'
_cell_length_a 6.140
_cell_length_b 10.945
_cell_length_c 7.762
_cell_angle_alpha 90.00
_cell_angle_beta 103.00
_cell_angle_gamma 90.00
_space_group_name_H-M_alt 'C 1 2/m 1'
_space_group_IT_number 12
_space_group_name_Hall '-C 2y'
loop_
_atom_site_label
_atom_site_fract_x
_atom_site_fract_y
_atom_site_fract_z
_atom_site_occupancy
Na1 0.000 0.176 0.000 1
Ta1 0.000 0.000 0.500 1
Ta2 0.000 0.368 0.500 1
Se1 0.223 0.173 0.702 1
Se2 0.245 0.500 0.740 1
```

~~~~~

[1]
This entry pairs a crystal structure of AsPd17 with its computed PXRD pattern. Radiation: Cu Ka. Structure: a crystal structure in OQMD, relaxed with GGA-PBE.
No peak broadening, texture or thermal motion is included.

Top 6 peaks for 2θ = 10–90°, by intensity:
d [Å]  2theta  intensity
2.275  39.61  100
1.948  46.63  72
2.220  40.64  66
2.337  38.53  43
1.377  68.08  42
2.020  44.88  34

Structural model:
a = 5.5081 Å, b = 5.5081 Å, c = 30.3746 Å
α = 90.00°, β = 90.00°, γ = 120.00°
Positions (direct):
1 As 0.3333 0.6667 0.2959
2 As 0.6667 0.3333 0.7041
3 Pd 0.0000 0.0000 0.0000
4 Pd 0.0000 0.0000 0.2278
5 Pd 0.0000 0.0000 0.7722
6 Pd 0.0000 0.5000 0.0000
7 Pd 0.0012 0.5006 0.7716
8 Pd 0.1664 0.3329 0.6944
9 Pd 0.1664 0.8336 0.6944
10 Pd 0.1667 0.3334 0.9240
11 Pd 0.1669 0.3339 0.1518
12 Pd 0.1669 0.8331 0.1518
13 Pd 0.1667 0.8333 0.9240
14 Pd 0.3329 0.1664 0.3056
15 Pd 0.3334 0.1667 0.0760
16 Pd 0.3333 0.6667 0.0759
17 Pd 0.3333 0.6667 0.8481
18 Pd 0.3339 0.1669 0.8482
19 Pd 0.4994 0.5006 0.7716
20 Pd 0.4994 0.9988 0.7716
21 Pd 0.5000 0.0000 0.0000
22 Pd 0.5000 0.5000 0.0000
23 Pd 0.5006 0.0012 0.2284
24 Pd 0.5006 0.4994 0.2284
25 Pd 0.6661 0.8331 0.1518
26 Pd 0.6667 0.3333 0.1519
27 Pd 0.6667 0.3333 0.9241
28 Pd 0.6666 0.8333 0.9240
29 Pd 0.6671 0.8336 0.6944
30 Pd 0.8333 0.1667 0.0760
31 Pd 0.8331 0.1669 0.8482
32 Pd 0.8331 0.6661 0.8482
33 Pd 0.8333 0.6666 0.0760
34 Pd 0.8336 0.1664 0.3056
35 Pd 0.8336 0.6671 0.3056
36 Pd 0.9988 0.4994 0.2284

[2]
This entry pairs a crystal structure of As4Pd with its computed PXRD pattern. Radiation: Cu Ka. Structure: a crystal structure in OQMD, relaxed with GGA-PBE.
No peak broadening, texture or thermal motion is included.

Top 6 peaks for 2θ = 10–90°, by intensity:
d [Å]  2theta  intensity
2.981  29.97  100
2.345  38.39  53
3.345  26.65  41
2.627  34.13  31
1.863  48.89  28
1.971  46.05  25

Structural model:
a = 5.3116 Å, b = 5.3116 Å, c = 14.7069 Å
α = 90.00°, β = 90.00°, γ = 90.00°
Positions (direct):
1 As 0.0297 0.3368 0.4628
2 As 0.0364 0.1236 0.1250
3 As 0.1236 0.0364 0.8750
4 As 0.1632 0.5297 0.7128
~~~
Eventually, like poison, it would seep out into other areas of our lives.
The Conquer Series is a 12-part DVD course that helps families deal with pornography.
The powerful video segments, compelling testimonies, and strong Biblical teaching will equip you with valuable information about the porn battle that's rising against your family. You can find out more at ConquerSeries.com.
Early in our marriage, we worked opposite shifts so we hardly saw one another. By believing that I was okay with his pornography use, my husband continued to have a rendezvous with sin. He filled his evenings with chats and text messages to women and even made plans to meet up with one lady. I felt that sex was love, and so when we would go periods of time without intimacy I would begin to feel unsatisfied. Eventually, I would begin to find pleasure through porn instead of physical oneness with my husband.
Through time, I began to hate the people on the screen. They portrayed perfection–flawless bodies and high-intensity orgasms.
I battled mounting pressure to measure up but looked in the mirror in disgust knowing that I never would. After all, pornography is a huge form of false reality.
We Were At The Breaking Point
It spiraled us quickly into a battle with anger. Screaming matches would ensue. I would become physically violent to my husband and would storm out of the house, and he would punch walls. Clearly, things were getting out of control, and we had to do something.
When we made the decision to kick pornography out of our bedroom, I was relieved–though the effects remained. For years, I would continue to struggle with self-esteem. We would both struggle with the images and expectations that lurked in the darkness. My husband would continue seeking out pornography on the internet to medicate the pain he felt as a result of any number of things including injury, job loss, and stress. For years, I would struggle in regards to what the picture of healthy sexuality with one’s spouse should look like. It held me captive and further led to me being unsatisfied and frustrated.
Once you have welcomed pornography into your mind and your life, it will continue to dominate your life – if you let it. Through Christ, there is always hope to be a better version of yourself. The Conquer Series is a cinematic small group course that is helping men bring healing to their relationship. Through the use of the Conquer Series, you’ll understand how your brain has been hijacked by the enemy. You will be given proven principles and techniques that will allow you to reclaim your brain and your identity in Christ. Today is the day that you can choose lifelong change!
Getting Real
Getting real with ourselves, with each other, and most importantly with God was one of the toughest journeys we have embarked on. We had to come to grips with the present struggles we were facing as a result of our bruised past. We had to learn that nothing is done in secret, for God is found in our most private moments. As a couple, we had to become putty in the hands of the Almighty.
“Investigate my life, O God, find out everything about me; Cross-examine and test me, get a clear picture of what I’m about; See for yourself whether I’ve done anything wrong-then guide me on the road to eternal life.”
(The Message)
This is a daring prayer, so don’t pray it light-heartedly. You better believe that when you earnestly ask God to show you what you’re doing wrong, He will.
Stepping Into What God Has For Our Relationship
My husband and I now realize that our entire relationship has been wrong – we have allowed Satan into so many areas of our lives and we now seek to serve the Lord first and foremost. Over the past couple of years, we have really started to fall in love with one another, connect on a level that we never thought possible, and we now can enjoy intimacy as the gift that God intended it to be instead of a product of worldly ideas and opinions. A few months ago we celebrated our 13th wedding anniversary, and we are considering plans to renew our vows in the near future.
I have no doubt in my mind that my story is not isolated, that there are other couples out there who are gambling with pornography and are experiencing or have experienced a declining relationship–despite what the headlines may say. You do not have to remain a prisoner to sexual sin.
What comes next are data records, not part of the text >
Entry 1:
Diffraction record for K3Pu6Cl20. The powder X-ray diffraction pattern is computed, not measured: it uses a crystal structure in Alexandria, relaxed with PBE and Cu Kα, 1.54184 Å.
No peak broadening, texture or thermal motion is included.

Unit cell a=14.5119 b=14.5119 c=14.5119 alpha=90.00 beta=90.00 gamma=90.00
Space group Fm-3m (No. 225)
Asymmetric unit:
K  0.0000  0.0000  0.0000
K  0.2500  0.2500  0.2500
Pu  0.0000  0.0000  0.2665
Cl  0.0000  0.1658  0.1658
Cl  0.1163  0.1163  0.3837

The 12 most intense peaks (15° ≤ 2θ ≤ 90°), most intense first:
2theta	intensity	hkl
21.21	100	2 2 2
41.27	68	6 2 2
34.98	66	4 4 0
24.54	44	4 0 0
17.28	26	2 2 0
62.73	25	8 4 4
55.18	22	6 6 2
32.05	20	3 3 3
37.17	19	6 0 0
77.89	16	10 6 2
43.19	15	4 4 4
56.74	13	8 4 0

---

Entry 2:
Diffraction record for K4PuCl6. The powder X-ray diffraction pattern is computed, not measured: it uses a crystal structure in Alexandria, relaxed with PBE and Cu Kα, 1.54184 Å.
No peak broadening, texture or thermal motion is included.

Unit cell a=12.6276 b=12.6276 c=15.4642 alpha=90.00 beta=90.00 gamma=120.00
Space group R-3c (No. 167, hexagonal axes)
Asymmetric unit:
K  0.0000  0.0000  0.2500
K  0.0000  0.3685  0.2500
Pu  0.0000  0.0000  0.0000
Cl  0.0314  0.1952  0.3924

The 12 most intense peaks (15° ≤ 2θ ≤ 90°), most intense first:
2theta	intensity	hkl
31.69	100	2 1 4
37.70	69	4 1 0
24.42	67	3 0 0
42.98	43	3 2 4
52.24	39	3 4 2
28.27	37	0 2 4
64.31	30	3 5 4
19.89	28	2 0 2
78.76	27	3 0 12
50.05	26	6 0 0
33.28	23	2 2 3
47.78	23	0 1 8

---

Entry 3:
Diffraction record for K3Pu2Cl9. The powder X-ray diffraction pattern is computed, not measured: it uses a crystal structure in Alexandria, relaxed with PBE and Cu Kα, 1.54184 Å.
No peak broadening, texture or thermal motion is included.

Unit cell a=13.1931 b=13.1931 c=17.9854 alpha=90.00 beta=90.00 gamma=120.00
Space group R-3c (No. 167, hexagonal axes)
Asymmetric unit:
K  0.0000  0.3088  0.2500
Pu  0.0000  0.0000  0.1434
Cl  0.0000  0.1528  0.7500
Cl  0.0308  0.1969  0.4166

The 12 most intense peaks (15° ≤ 2θ ≤ 90°), most intense first:
2theta	intensity	hkl
23.36	100	3 0 0
21.23	84	1 0 4
25.21	77	0 2 4
28.66	76	2 1 4
34.63	74	1 3 4
36.02	69	4 1 0
30.94	56	2 2 3
39.81	52	3 2 4
40.67	52	2 2 6
32.83	45	1 1 6
47.76	40	6 0 0
48.78	30	5 1 4

---

Entry 4:
Diffraction record for K3PuCl8. The powder X-ray diffraction pattern is computed, not measured: it uses a crystal structure in Alexandria, relaxed with PBE and Cu Kα, 1.54184 Å.
No peak broadening, texture or thermal motion is included.

Unit cell a=7.2053 b=7.2053 c=14.1467 alpha=90.00 beta=90.00 gamma=90.00
Space group I4/mmm (No. 139)
Asymmetric unit:
K  0.0000  0.0000  0.0000
K  0.0000  0.5000  0.2500
Pu  0.0000  0.0000  0.5000
Cl  0.2196  0.2196  0.3883

The 12 most intense peaks (15° ≤ 2θ ≤ 90°), most intense first:
2theta	intensity	hkl
21.49	100	1 1 2
35.57	78	2 0 4
35.23	40	2 2 0
41.64	34	3 1 2
42.23	26	1 1 6
17.41	25	1 1 0
33.69	24	2 1 3
63.44	21	4 2 4
56.13	19	3 1 6
The Conquer Series Small Group study will allow you to understand the ways in which the enemy has kept a firm grip on your soul, and it will provide you the path to freedom for your tomorrow.